## Exercise
The reader should echo the whole of the entries underneath without altering anything.

## Excerpt
-- begin --
(1)
Material: ReBi2CF
Method: DFT, PBE
State: relaxed

Energy: -23.8 eV/f.u.
M_tot: 0.15 μB per atom
Raw formation energy: 1.497 eV per atom

Cell: 4.9350 4.9350 3.7696 Å, 90.00 90.00 90.00°
Space group P4/mmm (No. 123)
Symmetry-distinct sites (fractional):
Re (0.0000, 0.0000, 0.0000) (multiplicity 1)
Bi (0.0000, 0.5000, 0.5000) (multiplicity 2)
C (0.5000, 0.5000, 0.0000) (multiplicity 1)
F (0.5000, 0.5000, 0.5000) (multiplicity 1)

=====

(2)
Material: Ac6CdIr4
Method: DFT, PBE
State: relaxed

Energy: -67.0 eV/f.u.
M_tot: 0.00 μB per atom

Cell: 4.3848 14.4920 22.4294 Å, 90.00 90.00 90.00°
Space group Cmcm (No. 63)
Symmetry-distinct sites (fractional):
Ac (0.0000, 0.0000, 0.0000) (multiplicity 4)
Ac (0.0000, 0.1626, 0.2500) (multiplicity 4)
Ac (0.0000, 0.2681, 0.5802) (multiplicity 8)
Ac (0.0000, 0.4677, 0.1516) (multiplicity 8)
Cd (0.0000, 0.1521, 0.7500) (multiplicity 4)
Ir (0.0000, 0.1006, 0.1287) (multiplicity 8)
Ir (0.0000, 0.3644, 0.0422) (multiplicity 8)

=====

(3)
Material: GaH2RuF
Method: DFT, PBE
State: relaxed

Energy: -19.3 eV/f.u.
M_tot: 0.48 μB per atom

Cell: 3.4000 3.4000 5.2743 Å, 90.00 90.00 90.00°
Space group P4/mmm (No. 123)
Symmetry-distinct sites (fractional):
Ga (0.0000, 0.0000, 0.0000) (multiplicity 1)
H (0.0000, 0.5000, 0.0000) (multiplicity 2)
Ru (0.0000, 0.0000, 0.5000) (multiplicity 1)
F (0.5000, 0.5000, 0.5000) (multiplicity 1)

=====

(4)
Material: ZrTcPb2
Method: DFT, PBE
State: relaxed

E above lowest polymorph: 358 meV/atom
Energy: -24.7 eV/f.u.
M_tot: 0.00 μB per atom

Cell: 7.1017 7.1017 7.1017 Å, 90.00 90.00 90.00°
Space group F-43m (No. 216)
Symmetry-distinct sites (fractional):
Zr (0.0000, 0.0000, 0.0000) (multiplicity 4)
Tc (0.2500, 0.2500, 0.7500) (multiplicity 4)
Pb (0.0000, 0.0000, 0.5000) (multiplicity 4)
Pb (0.2500, 0.2500, 0.2500) (multiplicity 4)

=====

(5)
Material: LiTlNCl2
Method: DFT, PBE
State: relaxed

Energy: -15.0 eV/f.u.
M_tot: 0.00 μB per atom
Raw formation energy: 0.269 eV per atom

Cell: 5.3899 5.3899 4.2208 Å, 90.00 90.00 90.00°
Space group P4/mmm (No. 123)
Symmetry-distinct sites (fractional):
Li (0.0000, 0.0000, 0.0000) (multiplicity 1)
Tl (0.5000, 0.5000, 0.0000) (multiplicity 1)
N (0.5000, 0.5000, 0.5000) (multiplicity 1)
Cl (0.0000, 0.5000, 0.5000) (multiplicity 2)

=====

(6)
Material: PaTiI
Method: DFT, PBE
State: relaxed

Energy: -17.8 eV/f.u.
M_tot: 0.00 μB per atom
Raw formation energy: 0.395 eV per atom

Cell: 4.8628 4.8628 6.1175 Å, 90.00 90.00 90.00°
Space group P4/nmm (No. 129, origin choice 2)
Symmetry-distinct sites (fractional):
Pa (0.2500, 0.2500, 0.1277) (multiplicity 2)
Ti (0.2500, 0.2500, 0.7409) (multiplicity 2)
I (0.2500, 0.7500, 0.5000) (multiplicity 2)

=====

(7)
Material: Th3OsPd
Method: DFT, PBE
State: relaxed

E above lowest polymorph: 34 meV/atom
Energy: -40.8 eV/f.u.
M_tot: 0.00 μB per atom

Cell: 12.0638 4.6221 9.7576 Å, 90.00 104.97 90.00°
Space group C2/m (No. 12)
Symmetry-distinct sites (fractional):
Th (0.0790, 0.0000, 0.3614) (multiplicity 4)
Th (0.1323, 0.5000, 0.6713) (multiplicity 4)
Th (0.1602, 0.5000, 0.0935) (multiplicity 4)
Os (0.2308, 0.5000, 0.3911) (multiplicity 4)
Pd (0.0807, 0.0000, 0.9154) (multiplicity 4)

=====

(8)
Material: Mg6TiBi
Method: DFT, PBE
State: relaxed

E above lowest polymorph: 10 meV/atom
Energy: -21.0 eV/f.u.
M_tot: 0.16 μB per atom

Cell: 5.2876 6.1227 11.2061 Å, 90.00 90.00 90.00°
Space group Amm2 (No. 38)
-- stop --

## Done
(1)
Material: ReBi2CF
Method: DFT, PBE
State: relaxed

Energy: -23.8 eV/f.u.
M_tot: 0.15 μB per atom
Raw formation energy: 1.497 eV per atom

Cell: 4.9350 4.9350 3.7696 Å, 90.00 90.00 90.00°
Space group P4/mmm (No. 123)
Symmetry-distinct sites (fractional):
Re (0.0000, 0.0000, 0.0000) (multiplicity 1)
Bi (0.0000, 0.5000, 0.5000) (multiplicity 2)
C (0.5000, 0.5000, 0.0000) (multiplicity 1)
F (0.5000, 0.5000, 0.5000) (multiplicity 1)

=====

(2)
Material: Ac6CdIr4
Method: DFT, PBE
State: relaxed

Energy: -67.0 eV/f.u.
M_tot: 0.00 μB per atom

Cell: 4.3848 14.4920 22.4294 Å, 90.00 90.00 90.00°
Space group Cmcm (No. 63)
Symmetry-distinct sites (fractional):
Ac (0.0000, 0.0000, 0.0000) (multiplicity 4)
Ac (0.0000, 0.1626, 0.2500) (multiplicity 4)
Ac (0.0000, 0.2681, 0.5802) (multiplicity 8)
Ac (0.0000, 0.4677, 0.1516) (multiplicity 8)
Cd (0.0000, 0.1521, 0.7500) (multiplicity 4)
Ir (0.0000, 0.1006, 0.1287) (multiplicity 8)
Ir (0.0000, 0.3644, 0.0422) (multiplicity 8)

=====

(3)
Material: GaH2RuF
Method: DFT, PBE
State: relaxed

Energy: -19.3 eV/f.u.
M_tot: 0.48 μB per atom

Cell: 3.4000 3.4000 5.2743 Å, 90.00 90.00 90.00°
Space group P4/mmm (No. 123)
Symmetry-distinct sites (fractional):
Ga (0.0000, 0.0000, 0.0000) (multiplicity 1)
H (0.0000, 0.5000, 0.0000) (multiplicity 2)
Ru (0.0000, 0.0000, 0.5000) (multiplicity 1)
F (0.5000, 0.5000, 0.5000) (multiplicity 1)

=====

(4)
Material: ZrTcPb2
Method: DFT, PBE
State: relaxed

E above lowest polymorph: 358 meV/atom
Energy: -24.7 eV/f.u.
M_tot: 0.00 μB per atom

Cell: 7.1017 7.1017 7.1017 Å, 90.00 90.00 90.00°
Space group F-43m (No. 216)
Symmetry-distinct sites (fractional):
Zr (0.0000, 0.0000, 0.0000) (multiplicity 4)
Tc (0.2500, 0.2500, 0.7500) (multiplicity 4)
Pb (0.0000, 0.0000, 0.5000) (multiplicity 4)
Pb (0.2500, 0.2500, 0.2500) (multiplicity 4)

=====

(5)
Material: LiTlNCl2
Method: DFT, PBE
State: relaxed

Energy: -15.0 eV/f.u.
M_tot: 0.00 μB per atom
Raw formation energy: 0.269 eV per atom

Cell: 5.3899 5.3899 4.2208 Å, 90.00 90.00 90.00°
Space group P4/mmm (No. 123)
Symmetry-distinct sites (fractional):
Li (0.0000, 0.0000, 0.0000) (multiplicity 1)
Tl (0.5000, 0.5000, 0.0000) (multiplicity 1)
N (0.5000, 0.5000, 0.5000) (multiplicity 1)
Cl (0.0000, 0.5000, 0.5000) (multiplicity 2)

=====

(6)
Material: PaTiI
Method: DFT, PBE
State: relaxed

Energy: -17.8 eV/f.u.
M_tot: 0.00 μB per atom
Raw formation energy: 0.395 eV per atom

Cell: 4.8628 4.8628 6.1175 Å, 90.00 90.00 90.00°
Space group P4/nmm (No. 129, origin choice 2)
Symmetry-distinct sites (fractional):
Pa (0.2500, 0.2500, 0.1277) (multiplicity 2)
Ti (0.2500, 0.2500, 0.7409) (multiplicity 2)
I (0.2500, 0.7500, 0.5000) (multiplicity 2)

=====

(7)
Material: Th3OsPd
Method: DFT, PBE
State: relaxed

E above lowest polymorph: 34 meV/atom
Energy: -40.8 eV/f.u.
M_tot: 0.00 μB per atom

Cell: 12.0638 4.6221 9.7576 Å, 90.00 104.97 90.00°
Space group C2/m (No. 12)
Symmetry-distinct sites (fractional):
Th (0.0790, 0.0000, 0.3614) (multiplicity 4)
Th (0.1323, 0.5000, 0.6713) (multiplicity 4)
Th (0.1602, 0.5000, 0.0935) (multiplicity 4)
Os (0.2308, 0.5000, 0.3911) (multiplicity 4)
Pd (0.0807, 0.0000, 0.9154) (multiplicity 4)

=====

(8)
Material: Mg6TiBi
Method: DFT, PBE
State: relaxed

E above lowest polymorph: 10 meV/atom
Energy: -21.0 eV/f.u.
M_tot: 0.16 μB per atom

Cell: 5.2876 6.1227 11.2061 Å, 90.00 90.00 90.00°
Space group Amm2 (No. 38)